# Activity
The reader should reproduce everything further below word for word.

# Given
┌──
Version a
Density functional theory data (the ωB97M-V functional and the def2-TZVPD basis) for the molecule C3H4ClF.

The HOMO-LUMO gap comes out at 11.379 eV. For the highest occupied orbital energy, the calculation gives -10.35 eV.

```
9
C3H4ClF the ωB97M-V functional and the def2-TZVPD basis
C 0.2548 0.2361 -0.0149
C 1.1544 -0.6428 0.7535
C 1.1376 -0.6700 -0.7410
H 1.9626 -0.1862 1.3381
H 0.6505 -1.5083 1.1733
H 0.7059 -1.5225 -1.1799
H 2.0689 -0.2735 -1.2558
F 0.3793 1.5930 -0.0113
Cl -1.4166 -0.2580 0.0024
```

Version b
Density functional theory data (the ωB97M-V functional and the def2-TZVPD basis) for the molecule C3H4ClF.

The HOMO-LUMO gap comes out at 10.853 eV. For the highest occupied orbital energy, the calculation gives -10.53 eV.

```
9
C3H4ClF the ωB97M-V functional and the def2-TZVPD basis
C -0.0526 -1.0295 -0.2101
C -0.5295 0.2501 0.1468
C 0.1821 1.3584 -0.0071
H -0.8937 -1.6474 -0.2285
H -1.3168 0.2872 1.0646
H -0.2433 2.2925 0.3133
H 1.0579 1.3747 -0.5680
F 0.6180 -0.9827 -1.3791
Cl 1.1781 -1.9034 0.8681
```

Version c
Density functional theory data (the ωB97M-V functional and the def2-TZVPD basis) for a structure of composition C3H4ClF.

The HOMO-LUMO gap comes out at 10.397 eV. For the highest occupied orbital energy, the calculation gives -9.58 eV.

```
9
C3H4ClF the ωB97M-V functional and the def2-TZVPD basis
C 2.1097 -0.3012 -0.0012
C 1.0837 0.6948 -0.0287
C -0.1735 0.5032 -0.1195
H 1.8140 -1.3835 -0.3116
H 3.3361 -0.0749 -0.4939
H 2.3645 -0.2435 1.1807
H 1.2047 1.7471 0.0365
F -1.2433 1.3577 0.0342
Cl -0.9205 -1.0380 0.0104
```

The structure with the least stability is version c.

Version a
Density functional theory data (the ωB97M-V functional and the def2-TZVPD basis) for the molecule C7H13N.

The HOMO-LUMO gap comes out at 8.807 eV. For the highest occupied orbital energy, the calculation gives -7.73 eV.

```
21
C7H13N the ωB97M-V functional and the def2-TZVPD basis
C -1.6918 1.1627 1.5276
C -0.9374 0.0661 0.7754
C -0.8561 0.2163 -0.8289
C 0.5922 -0.2433 -1.0295
C 0.6149 -1.7022 -0.9789
C 1.9742 0.3260 -1.0296
C 1.0821 0.6041 0.1285
H -2.6338 1.5003 1.0789
H -1.8821 0.7433 2.5280
H -1.0651 2.0789 1.5417
H -1.3817 -0.9500 0.9907
H -0.9854 1.2507 -1.0063
H -1.6719 -0.3789 -1.2080
H 1.6026 -2.0145 -0.5807
H 0.4988 -2.1799 -1.9201
H -0.1591 -2.1140 -0.3105
H 2.7726 -0.3752 -1.0700
H 2.1899 1.1854 -1.5079
H 0.6684 1.5952 -0.0283
H 0.7807 -0.8380 1.5953
N 0.4880 0.0670 1.3325
```

Version b
Density functional theory data (the ωB97M-V functional and the def2-TZVPD basis) for a structure of composition C7H13N.

The HOMO-LUMO gap comes out at 7.610 eV. For the highest occupied orbital energy, the calculation gives -6.63 eV.

```
21
C7H13N the ωB97M-V functional and the def2-TZVPD basis
C -0.7043 0.1121 0.1884
C -0.9171 -0.3560 -1.2328
C -1.9449 -0.0262 1.0521
N 1.7436 -1.8006 -0.6392
C 0.5495 -0.2772 0.9140
C -0.0150 1.5660 0.2912
C 1.6291 -0.9854 0.4586
C 0.9336 2.0940 -0.4908
H 0.9135 -2.0340 -1.1610
H 2.5085 -2.4593 -0.6766
H 0.4795 -0.1902 1.9942
H -0.6566 2.2270 0.8593
H 2.5416 -0.9307 1.0439
H -1.0651 -1.4331 -1.2840
H -0.0797 -0.0712 -1.8727
H -1.8218 0.1137 -1.6345
H -2.7923 0.4720 0.5768
H -2.1778 -1.0834 1.2153
H -1.7933 0.4227 2.0364
H 0.9862 3.1556 -0.6716
H 1.6828 1.4842 -0.9669
```

Version c
Density functional theory data (the ωB97M-V functional and the def2-TZVPD basis) for the molecule C7H13N.

The HOMO-LUMO gap comes out at 5.102 eV. For the highest occupied orbital energy, the calculation gives -6.41 eV.

```
21
C7H13N the ωB97M-V functional and the def2-TZVPD basis
C 2.0954 -1.6844 0.8049
C 2.0325 -0.9526 -0.5779
N -0.0739 2.1931 -0.9582
C 0.3038 0.8886 -0.4790
C 1.6208 0.4772 -0.5679
C -3.3395 -0.0185 0.0218
C -2.0668 0.5660 0.5786
C -0.7132 0.0823 0.0662
H 1.3069 -2.4090 0.9785
H 1.9576 -0.9718 1.6424
H 3.1086 -2.0836 0.9663
H 3.0571 -1.0041 -0.9369
H 1.3581 -1.5240 -1.2060
H -1.0719 2.2461 -0.8039
H 0.4224 2.9683 -0.5384
H 2.2198 1.3708 -0.7114
H -3.6978 -0.9755 0.3427
└──

# Result
Version a
Density functional theory data (the ωB97M-V functional and the def2-TZVPD basis) for the molecule C3H4ClF.

The HOMO-LUMO gap comes out at 11.379 eV. For the highest occupied orbital energy, the calculation gives -10.35 eV.

```
9
C3H4ClF the ωB97M-V functional and the def2-TZVPD basis
C 0.2548 0.2361 -0.0149
C 1.1544 -0.6428 0.7535
C 1.1376 -0.6700 -0.7410
H 1.9626 -0.1862 1.3381
H 0.6505 -1.5083 1.1733
H 0.7059 -1.5225 -1.1799
H 2.0689 -0.2735 -1.2558
F 0.3793 1.5930 -0.0113
Cl -1.4166 -0.2580 0.0024
```

Version b
Density functional theory data (the ωB97M-V functional and the def2-TZVPD basis) for the molecule C3H4ClF.

The HOMO-LUMO gap comes out at 10.853 eV. For the highest occupied orbital energy, the calculation gives -10.53 eV.

```
9
C3H4ClF the ωB97M-V functional and the def2-TZVPD basis
C -0.0526 -1.0295 -0.2101
C -0.5295 0.2501 0.1468
C 0.1821 1.3584 -0.0071
H -0.8937 -1.6474 -0.2285
H -1.3168 0.2872 1.0646
H -0.2433 2.2925 0.3133
H 1.0579 1.3747 -0.5680
F 0.6180 -0.9827 -1.3791
Cl 1.1781 -1.9034 0.8681
```

Version c
Density functional theory data (the ωB97M-V functional and the def2-TZVPD basis) for a structure of composition C3H4ClF.

The HOMO-LUMO gap comes out at 10.397 eV. For the highest occupied orbital energy, the calculation gives -9.58 eV.

```
9
C3H4ClF the ωB97M-V functional and the def2-TZVPD basis
C 2.1097 -0.3012 -0.0012
C 1.0837 0.6948 -0.0287
C -0.1735 0.5032 -0.1195
H 1.8140 -1.3835 -0.3116
H 3.3361 -0.0749 -0.4939
H 2.3645 -0.2435 1.1807
H 1.2047 1.7471 0.0365
F -1.2433 1.3577 0.0342
Cl -0.9205 -1.0380 0.0104
```

The structure with the least stability is version c.

Version a
Density functional theory data (the ωB97M-V functional and the def2-TZVPD basis) for the molecule C7H13N.

The HOMO-LUMO gap comes out at 8.807 eV. For the highest occupied orbital energy, the calculation gives -7.73 eV.

```
21
C7H13N the ωB97M-V functional and the def2-TZVPD basis
C -1.6918 1.1627 1.5276
C -0.9374 0.0661 0.7754
C -0.8561 0.2163 -0.8289
C 0.5922 -0.2433 -1.0295
C 0.6149 -1.7022 -0.9789
C 1.9742 0.3260 -1.0296
C 1.0821 0.6041 0.1285
H -2.6338 1.5003 1.0789
H -1.8821 0.7433 2.5280
H -1.0651 2.0789 1.5417
H -1.3817 -0.9500 0.9907
H -0.9854 1.2507 -1.0063
H -1.6719 -0.3789 -1.2080
H 1.6026 -2.0145 -0.5807
H 0.4988 -2.1799 -1.9201
H -0.1591 -2.1140 -0.3105
H 2.7726 -0.3752 -1.0700
H 2.1899 1.1854 -1.5079
H 0.6684 1.5952 -0.0283
H 0.7807 -0.8380 1.5953
N 0.4880 0.0670 1.3325
```

Version b
Density functional theory data (the ωB97M-V functional and the def2-TZVPD basis) for a structure of composition C7H13N.

The HOMO-LUMO gap comes out at 7.610 eV. For the highest occupied orbital energy, the calculation gives -6.63 eV.

```
21
C7H13N the ωB97M-V functional and the def2-TZVPD basis
C -0.7043 0.1121 0.1884
C -0.9171 -0.3560 -1.2328
C -1.9449 -0.0262 1.0521
N 1.7436 -1.8006 -0.6392
C 0.5495 -0.2772 0.9140
C -0.0150 1.5660 0.2912
C 1.6291 -0.9854 0.4586
C 0.9336 2.0940 -0.4908
H 0.9135 -2.0340 -1.1610
H 2.5085 -2.4593 -0.6766
H 0.4795 -0.1902 1.9942
H -0.6566 2.2270 0.8593
H 2.5416 -0.9307 1.0439
H -1.0651 -1.4331 -1.2840
H -0.0797 -0.0712 -1.8727
H -1.8218 0.1137 -1.6345
H -2.7923 0.4720 0.5768
H -2.1778 -1.0834 1.2153
H -1.7933 0.4227 2.0364
H 0.9862 3.1556 -0.6716
H 1.6828 1.4842 -0.9669
```

Version c
Density functional theory data (the ωB97M-V functional and the def2-TZVPD basis) for the molecule C7H13N.

The HOMO-LUMO gap comes out at 5.102 eV. For the highest occupied orbital energy, the calculation gives -6.41 eV.

```
21
C7H13N the ωB97M-V functional and the def2-TZVPD basis
C 2.0954 -1.6844 0.8049
C 2.0325 -0.9526 -0.5779
N -0.0739 2.1931 -0.9582
C 0.3038 0.8886 -0.4790
C 1.6208 0.4772 -0.5679
C -3.3395 -0.0185 0.0218
C -2.0668 0.5660 0.5786
C -0.7132 0.0823 0.0662
H 1.3069 -2.4090 0.9785
H 1.9576 -0.9718 1.6424
H 3.1086 -2.0836 0.9663
H 3.0571 -1.0041 -0.9369
H 1.3581 -1.5240 -1.2060
H -1.0719 2.2461 -0.8039
H 0.4224 2.9683 -0.5384
H 2.2198 1.3708 -0.7114
H -3.6978 -0.9755 0.3427